### Request
Your job: set down every line underneath that contains the word "isolated".
### Listing
A structure of composition C29H50LaP2 at a distorted geometry. Source: the OMol25 dataset; level of theory: ωB97M-V/def2-TZVPD.

Cartesian coordinates (Å):
La -1.80 0.43 1.55
C 2.38 -1.64 1.01
C 2.59 -0.50 1.84
C 0.68 -1.56 2.57
C 1.22 -2.31 1.48
C 1.55 -0.44 2.78
C 3.18 -2.04 -0.18
H 2.78 -1.59 -1.11
H 3.15 -3.12 -0.30
H 4.22 -1.71 -0.07
C 0.60 -3.53 0.94
H 1.25 -4.00 0.18
H -0.38 -3.31 0.49
H 0.43 -4.26 1.76
C -0.44 -2.05 3.43
H -0.29 -3.12 3.64
H -1.44 -1.98 2.96
H -0.46 -1.53 4.40
C 1.45 0.51 3.92
H 1.73 0.02 4.86
H 0.45 0.93 4.03
H 2.15 1.34 3.76
C 3.74 0.45 1.74
H 4.42 0.33 2.60
H 3.40 1.50 1.74
H 4.32 0.27 0.83
C 1.37 -0.79 -3.40
C 2.65 -0.41 -3.49
C 3.13 0.99 -3.17
C 2.04 2.11 -3.32
C 1.35 2.46 -1.91
C 1.52 1.39 -0.99
C 0.73 0.19 -1.10
C 0.27 -0.20 -2.56
H 3.97 1.24 -3.85
H 1.29 1.83 -4.10
H 3.55 0.97 -2.15
H -0.24 0.69 -3.01
H 1.00 -1.63 -4.03
H 3.41 -1.12 -3.90
H -0.50 -0.99 -2.33
H 1.38 -0.58 -0.70
H 2.23 1.50 -0.17
H -0.21 0.02 -0.50
H 2.56 3.04 -3.65
H 1.85 3.41 -1.66
P -0.51 2.80 -1.69
C -1.25 2.64 -3.33
C -0.28 4.63 -1.88
P -0.41 2.53 1.11
C -1.65 2.76 -0.36
C 0.74 4.01 1.05
C -1.96 3.27 2.21
H -2.08 1.92 -3.33
H -0.56 2.37 -4.13
H -1.66 3.61 -3.65
H -1.17 5.00 -2.39
H 0.58 4.83 -2.53
H -0.13 5.20 -0.97
H -1.96 4.34 1.90
H -1.67 3.23 3.28
H -3.01 2.86 2.05
H -2.43 1.99 -0.53
H -2.10 3.78 -0.26
H 1.00 3.98 2.15
H 0.16 4.94 0.84
H 1.71 4.01 0.46
C -4.65 -3.30 1.71
C -3.58 -3.55 0.63
C -2.78 -4.81 0.99
C -4.24 -3.81 -0.73
C -2.69 -2.36 0.48
C -1.97 -1.40 0.09
H -5.37 -4.13 1.79
H -5.21 -2.39 1.48
H -4.18 -3.16 2.69
H -3.43 -5.70 0.98
H -1.99 -4.98 0.26
H -2.33 -4.74 1.98
H -4.82 -2.93 -1.04
H -3.47 -3.98 -1.50
H -4.90 -4.68 -0.71

multiplicity = 1
highest occupied orbital energy (spin up / spin down) = -0.30856 / -0.29898 hartree
molecular weight = 599.57 g mol⁻¹
electronic energy = -1848.63573 a.u.
net charge = +1

***

An isolated molecule of C5H9NO2 at a distorted geometry. Source: the OMol25 dataset; level of theory: ωB97M-V/def2-TZVPD.

Cartesian coordinates (Å):
C -0.12 0.09 0.84
C -1.50 0.00 -0.04
C 0.56 1.37 0.32
C 1.61 0.75 -0.72
C 2.05 -0.61 -0.16
H 1.00 -1.63 1.26
H -0.37 -0.03 1.86
H -0.19 2.00 -0.19
H 0.98 2.12 1.06
H 2.42 1.49 -1.03
H 1.00 0.47 -1.53
H 2.27 -1.27 -1.04
H 2.97 -0.51 0.58
H -0.77 -1.83 -0.33
N 0.74 -1.06 0.43
O -2.20 0.93 -0.17
O -1.57 -1.31 -0.46

multiplicity = 1
highest occupied orbital energy = -0.34738 hartree
molecular weight = 115.13 g mol⁻¹
electronic energy = -401.12687 a.u.
SMILES = O=C(O)[C@@H]1CCCN1

***

A structure of composition C18H34CoN5O2. Source: the OMol25 dataset; level of theory: ωB97M-V/def2-TZVPD.

Cartesian coordinates (Å):
Co 0.98 -0.27 0.03
C -0.16 1.08 -1.03
C -0.80 0.69 0.20
C -1.07 -0.76 0.08
C -0.45 -1.18 -1.10
C 0.06 -0.04 -1.85
C 0.64 -0.14 -3.23
C -0.45 -0.82 -4.09
C 0.96 1.22 -3.83
C 1.88 -1.04 -3.18
C -1.96 -1.73 0.88
C -2.13 -3.03 0.08
C -1.48 -2.13 2.28
C -3.35 -1.07 0.96
C -1.12 1.76 1.22
C -2.45 2.40 0.77
C -1.24 1.26 2.66
C -0.06 2.87 1.21
H 0.17 2.08 -1.27
H -0.38 -2.20 -1.43
H -1.37 -0.22 -4.11
H -0.70 -1.82 -3.73
H -0.09 -0.91 -5.11
H 0.07 1.84 -3.89
H 1.32 1.08 -4.85
H 1.73 1.76 -3.28
H 1.65 -2.04 -2.82
H 2.67 -0.60 -2.57
H 2.29 -1.15 -4.19
H -1.20 -3.59 -0.01
H -2.55 -2.85 -0.91
H -2.84 -3.67 0.62
H -0.66 -2.85 2.23
H -2.29 -2.68 2.77
H -1.23 -1.30 2.93
H -3.69 -0.75 -0.03
H -3.38 -0.23 1.63
H -4.06 -1.81 1.33
H -3.28 1.70 0.77
H -2.36 2.82 -0.24
H -2.70 3.22 1.45
H -2.05 0.57 2.82
H -1.42 2.11 3.32
H -0.30 0.80 2.99
H -0.01 3.41 0.27
H 0.94 2.48 1.45
H -0.32 3.60 1.98
N 1.48 -1.43 1.59
N 2.45 -0.77 2.38
C 3.10 0.27 1.81
N 4.10 0.82 2.46
N 2.58 0.65 0.61
N 3.25 1.65 -0.14
O 4.10 2.32 0.39
O 2.87 1.73 -1.29
H 0.66 -1.62 2.16
H 1.86 -2.33 1.26
H 2.81 -1.24 3.20
H 4.42 0.45 3.34
H 4.57 1.62 2.05

multiplicity = 1
highest occupied orbital energy (spin up / spin down) = -0.61315 / -0.61239 hartree
molecular weight = 411.44 g mol⁻¹
electronic energy = -2512.61904 a.u.
net charge = +2

***
### Worked solution
An isolated molecule of C5H9NO2 at a distorted geometry. Source: the OMol25 dataset; level of theory: ωB97M-V/def2-TZVPD.